Contents:
<<<
Diffraction record for Ti3MnFe2P6O24. The powder diffraction line list is computed, not measured: it uses a DFT-relaxed cell (PBE+U, Alexandria) and a wavelength of 1.5418 Å.
No peak broadening, texture or thermal motion is included.

Main lines, sorted by position (5 to 70 degrees two-theta):
- hkl 1 1 0, d 4.355, intensity 68.5
- hkl 2 -1 3, d 3.689, intensity 100.0
- hkl 2 0 2, d 3.546, intensity 17.3
- hkl 3 -1 1, d 2.824, intensity 14.5
- hkl 2 -1 6, d 2.714, intensity 65.1
- hkl 3 0 0, d 2.514, intensity 32.4
- hkl 3 -2 8, d 1.922, intensity 26.9
- hkl 4 -2 6, d 1.844, intensity 24.4
- hkl 4 1 0, d 1.646, intensity 19.7
- hkl 5 -1 6, d 1.487, intensity 16.8

Cell and atoms:
a b c (Å): 8.7094 8.7094 20.8177
angles (deg): 90.00 90.00 120.00
Space group R3 (No. 146, hexagonal axes)
Unique sites:
Ti 0.0000 0.0000 0.0000
Ti 0.0000 0.0000 0.2117
Ti 0.0000 0.0000 0.5039
Mn 0.0000 0.0000 0.7141
Fe 0.0000 0.0000 0.3558
Fe 0.0000 0.0000 0.8546
P 0.0017 0.2990 0.6088
P 0.0068 0.7121 0.1076
O 0.0004 0.8117 0.0462
O 0.0028 0.1755 0.2760
O 0.0288 0.8270 0.7870
O 0.0349 0.8358 0.1651
O 0.1215 0.4539 0.3375
O 0.1477 0.4788 0.2160
O 0.1714 0.4847 0.5988
O 0.1725 0.6892 0.0997

----------

(1)
# Li2MnCr3O8
Computed PXRD pattern, Cu Kα. Input: DFT lattice parameters and positions (GGA+U).

Principal peaks in the range 15° ≤ 2θ ≤ 90°, by intensity:
| Position (°2θ) | Rel. int. | index |
| --- | --- | --- |
| 18.4 | 100 | 1 1 1 |
| 43.4 | 37 | 4 0 0 |
| 35.7 | 31 | 3 1 1 |
| 62.7 | 22 | 4 0 4 |
| 42.9 | 19 | 0 0 4 |
| 35.4 | 16 | 1 1 3 |
| 57.4 | 12 | 5 1 1 |
| 63.1 | 11 | 4 4 0 |
| 37.2 | 9 | 2 2 2 |
| 79.3 | 8 | 4 4 4 |
| 47.3 | 6 | 3 1 3 |
| 56.8 | 6 | 1 1 5 |

Crystal structure
abc: 8.339 8.339 8.424
angles: 90.00 90.00 90.00
Positions (direct):
Li (0.001, 0.251, 0.377)
Li (0.249, 0.501, 0.127)
Li (0.251, 0.001, 0.623)
Li (0.499, 0.751, 0.373)
Li (0.501, 0.249, 0.873)
Li (0.749, 0.999, 0.123)
Li (0.751, 0.499, 0.627)
Li (0.999, 0.749, 0.877)
Mn (0.122, 0.878, 0.250)
Mn (0.378, 0.378, 0.500)
Mn (0.622, 0.622, 0.000)
Mn (0.878, 0.122, 0.750)
Cr (0.125, 0.125, 0.000)
Cr (0.128, 0.372, 0.749)
Cr (0.128, 0.628, 0.499)
Cr (0.372, 0.128, 0.251)
Cr (0.372, 0.872, 0.001)
Cr (0.375, 0.625, 0.750)
Cr (0.625, 0.375, 0.250)
Cr (0.628, 0.128, 0.501)
Cr (0.628, 0.872, 0.751)
Cr (0.872, 0.372, 0.999)
Cr (0.872, 0.628, 0.249)
Cr (0.875, 0.875, 0.500)
O (0.110, 0.871, 0.482)
O (0.111, 0.131, 0.764)
O (0.112, 0.646, 0.260)
O (0.116, 0.354, 0.989)
O (0.129, 0.890, 0.018)
O (0.131, 0.111, 0.236)
O (0.146, 0.388, 0.510)
O (0.146, 0.616, 0.739)
O (0.354, 0.116, 0.011)
O (0.354, 0.888, 0.240)
O (0.369, 0.611, 0.514)
O (0.371, 0.390, 0.732)
O (0.384, 0.854, 0.761)
O (0.388, 0.146, 0.490)
O (0.389, 0.631, 0.986)
O (0.390, 0.371, 0.268)
O (0.610, 0.629, 0.768)
O (0.611, 0.369, 0.486)
O (0.612, 0.854, 0.990)
O (0.616, 0.146, 0.261)
O (0.629, 0.610, 0.232)
O (0.631, 0.389, 0.014)
O (0.646, 0.112, 0.740)
O (0.646, 0.884, 0.511)
O (0.854, 0.384, 0.239)
O (0.854, 0.612, 0.010)
O (0.869, 0.889, 0.736)
O (0.871, 0.110, 0.518)
O (0.884, 0.646, 0.489)
O (0.888, 0.354, 0.760)
O (0.889, 0.869, 0.264)
O (0.890, 0.129, 0.982)


(2)
# CsNaMo3O10
Computed PXRD pattern, Cu Kα. Input: DFT lattice parameters and positions (GGA+U).

Principal peaks in the range 15° ≤ 2θ ≤ 90°, by intensity:
| Position (°2θ) | Rel. int. | index |
| --- | --- | --- |
| 26.4 | 100 | 2 0 3 |
| 29.7 | 76 | 0 2 4 |
| 26.2 | 74 | 1 2 1 |
| 31.8 | 70 | 1 2 4 |
| 27.4 | 67 | 1 2 2 |
| 25.6 | 60 | 1 0 5 |
| 16.7 | 58 | 1 1 1 |
| 35.1 | 46 | 3 0 2 |
| 32.8 | 42 | 2 2 1 |
| 38.9 | 42 | 1 0 8 |
| 47.3 | 42 | 0 4 0 |
| 27.7 | 42 | 0 0 6 |

Crystal structure
abc: 7.946 7.684 19.339
angles: 90.00 90.00 90.00
Positions (direct):
Cs (0.090, 0.250, 0.226)
Cs (0.410, 0.750, 0.726)
Cs (0.590, 0.250, 0.274)
Cs (0.910, 0.750, 0.774)
Na (0.185, 0.250, 0.946)
Na (0.315, 0.750, 0.446)
Na (0.685, 0.250, 0.554)
Na (0.815, 0.750, 0.054)
Mo (0.095, 0.003, 0.588)
Mo (0.095, 0.497, 0.588)
Mo (0.236, 0.250, 0.455)
>>>

Activity:
Could you copy everything earlier on exactly?

Worked solution:
Diffraction record for Ti3MnFe2P6O24. The powder diffraction line list is computed, not measured: it uses a DFT-relaxed cell (PBE+U, Alexandria) and a wavelength of 1.5418 Å.
No peak broadening, texture or thermal motion is included.

Main lines, sorted by position (5 to 70 degrees two-theta):
- hkl 1 1 0, d 4.355, intensity 68.5
- hkl 2 -1 3, d 3.689, intensity 100.0
- hkl 2 0 2, d 3.546, intensity 17.3
- hkl 3 -1 1, d 2.824, intensity 14.5
- hkl 2 -1 6, d 2.714, intensity 65.1
- hkl 3 0 0, d 2.514, intensity 32.4
- hkl 3 -2 8, d 1.922, intensity 26.9
- hkl 4 -2 6, d 1.844, intensity 24.4
- hkl 4 1 0, d 1.646, intensity 19.7
- hkl 5 -1 6, d 1.487, intensity 16.8

Cell and atoms:
a b c (Å): 8.7094 8.7094 20.8177
angles (deg): 90.00 90.00 120.00
Space group R3 (No. 146, hexagonal axes)
Unique sites:
Ti 0.0000 0.0000 0.0000
Ti 0.0000 0.0000 0.2117
Ti 0.0000 0.0000 0.5039
Mn 0.0000 0.0000 0.7141
Fe 0.0000 0.0000 0.3558
Fe 0.0000 0.0000 0.8546
P 0.0017 0.2990 0.6088
P 0.0068 0.7121 0.1076
O 0.0004 0.8117 0.0462
O 0.0028 0.1755 0.2760
O 0.0288 0.8270 0.7870
O 0.0349 0.8358 0.1651
O 0.1215 0.4539 0.3375
O 0.1477 0.4788 0.2160
O 0.1714 0.4847 0.5988
O 0.1725 0.6892 0.0997

----------

(1)
# Li2MnCr3O8
Computed PXRD pattern, Cu Kα. Input: DFT lattice parameters and positions (GGA+U).

Principal peaks in the range 15° ≤ 2θ ≤ 90°, by intensity:
| Position (°2θ) | Rel. int. | index |
| --- | --- | --- |
| 18.4 | 100 | 1 1 1 |
| 43.4 | 37 | 4 0 0 |
| 35.7 | 31 | 3 1 1 |
| 62.7 | 22 | 4 0 4 |
| 42.9 | 19 | 0 0 4 |
| 35.4 | 16 | 1 1 3 |
| 57.4 | 12 | 5 1 1 |
| 63.1 | 11 | 4 4 0 |
| 37.2 | 9 | 2 2 2 |
| 79.3 | 8 | 4 4 4 |
| 47.3 | 6 | 3 1 3 |
| 56.8 | 6 | 1 1 5 |

Crystal structure
abc: 8.339 8.339 8.424
angles: 90.00 90.00 90.00
Positions (direct):
Li (0.001, 0.251, 0.377)
Li (0.249, 0.501, 0.127)
Li (0.251, 0.001, 0.623)
Li (0.499, 0.751, 0.373)
Li (0.501, 0.249, 0.873)
Li (0.749, 0.999, 0.123)
Li (0.751, 0.499, 0.627)
Li (0.999, 0.749, 0.877)
Mn (0.122, 0.878, 0.250)
Mn (0.378, 0.378, 0.500)
Mn (0.622, 0.622, 0.000)
Mn (0.878, 0.122, 0.750)
Cr (0.125, 0.125, 0.000)
Cr (0.128, 0.372, 0.749)
Cr (0.128, 0.628, 0.499)
Cr (0.372, 0.128, 0.251)
Cr (0.372, 0.872, 0.001)
Cr (0.375, 0.625, 0.750)
Cr (0.625, 0.375, 0.250)
Cr (0.628, 0.128, 0.501)
Cr (0.628, 0.872, 0.751)
Cr (0.872, 0.372, 0.999)
Cr (0.872, 0.628, 0.249)
Cr (0.875, 0.875, 0.500)
O (0.110, 0.871, 0.482)
O (0.111, 0.131, 0.764)
O (0.112, 0.646, 0.260)
O (0.116, 0.354, 0.989)
O (0.129, 0.890, 0.018)
O (0.131, 0.111, 0.236)
O (0.146, 0.388, 0.510)
O (0.146, 0.616, 0.739)
O (0.354, 0.116, 0.011)
O (0.354, 0.888, 0.240)
O (0.369, 0.611, 0.514)
O (0.371, 0.390, 0.732)
O (0.384, 0.854, 0.761)
O (0.388, 0.146, 0.490)
O (0.389, 0.631, 0.986)
O (0.390, 0.371, 0.268)
O (0.610, 0.629, 0.768)
O (0.611, 0.369, 0.486)
O (0.612, 0.854, 0.990)
O (0.616, 0.146, 0.261)
O (0.629, 0.610, 0.232)
O (0.631, 0.389, 0.014)
O (0.646, 0.112, 0.740)
O (0.646, 0.884, 0.511)
O (0.854, 0.384, 0.239)
O (0.854, 0.612, 0.010)
O (0.869, 0.889, 0.736)
O (0.871, 0.110, 0.518)
O (0.884, 0.646, 0.489)
O (0.888, 0.354, 0.760)
O (0.889, 0.869, 0.264)
O (0.890, 0.129, 0.982)


(2)
# CsNaMo3O10
Computed PXRD pattern, Cu Kα. Input: DFT lattice parameters and positions (GGA+U).

Principal peaks in the range 15° ≤ 2θ ≤ 90°, by intensity:
| Position (°2θ) | Rel. int. | index |
| --- | --- | --- |
| 26.4 | 100 | 2 0 3 |
| 29.7 | 76 | 0 2 4 |
| 26.2 | 74 | 1 2 1 |
| 31.8 | 70 | 1 2 4 |
| 27.4 | 67 | 1 2 2 |
| 25.6 | 60 | 1 0 5 |
| 16.7 | 58 | 1 1 1 |
| 35.1 | 46 | 3 0 2 |
| 32.8 | 42 | 2 2 1 |
| 38.9 | 42 | 1 0 8 |
| 47.3 | 42 | 0 4 0 |
| 27.7 | 42 | 0 0 6 |

Crystal structure
abc: 7.946 7.684 19.339
angles: 90.00 90.00 90.00
Positions (direct):
Cs (0.090, 0.250, 0.226)
Cs (0.410, 0.750, 0.726)
Cs (0.590, 0.250, 0.274)
Cs (0.910, 0.750, 0.774)
Na (0.185, 0.250, 0.946)
Na (0.315, 0.750, 0.446)
Na (0.685, 0.250, 0.554)
Na (0.815, 0.750, 0.054)
Mo (0.095, 0.003, 0.588)
Mo (0.095, 0.497, 0.588)
Mo (0.236, 0.250, 0.455)